-- To do --
The reader should print the contents further down word for word.
-- Entries --
'''
This record from the Materials Project database describes an optimized crystal structure of Li9Mn2Co5O16. The functional is PBE+U.

CIF file:
```
data_Li9Mn2Co5O16
_chemical_formula_sum 'Li9 Mn2 Co5 O16'
_symmetry_space_group_name_H-M 'P 1'
_symmetry_Int_Tables_number 1
_cell_length_a 2.9617
_cell_length_b 2.9617
_cell_length_c 38.8418
_cell_angle_alpha 91.27
_cell_angle_beta 91.27
_cell_angle_gamma 58.36
loop_
_symmetry_equiv_pos_as_xyz
'x,y,z'
loop_
_atom_site_label
_atom_site_fract_x
_atom_site_fract_y
_atom_site_fract_z
Li1 0.0000 0.0000 0.0000
Li2 0.0638 0.0638 0.1890
Li3 0.1875 0.1875 0.5624
Li4 0.3195 0.3195 0.9419
Li5 0.4384 0.4384 0.3132
Li6 0.5616 0.5616 0.6868
Li7 0.6805 0.6805 0.0581
Li8 0.8125 0.8125 0.4376
Li9 0.9362 0.9362 0.8110
Mn1 0.3730 0.3730 0.1252
Mn2 0.6270 0.6270 0.8748
Co1 0.1257 0.1257 0.3750
Co2 0.2501 0.2501 0.7498
Co3 0.5000 0.5000 0.5000
Co4 0.7499 0.7499 0.2502
Co5 0.8743 0.8743 0.6250
O1 0.0136 0.0136 0.0977
O2 0.0957 0.0957 0.2782
O3 0.1585 0.1585 0.4709
O4 0.2171 0.2171 0.6544
O5 0.2638 0.2638 0.8453
O6 0.3438 0.3438 0.0320
O7 0.4046 0.4046 0.2214
O8 0.4676 0.4676 0.4035
O9 0.5324 0.5324 0.5965
O10 0.5954 0.5954 0.7786
O11 0.6562 0.6562 0.9680
O12 0.7362 0.7362 0.1547
O13 0.7829 0.7829 0.3456
O14 0.8415 0.8415 0.5291
O15 0.9043 0.9043 0.7218
O16 0.9864 0.9864 0.9023
```

Output
The size of the total moment comes out at 0.48 μB/atom. Its energy with MP2020 corrections is -205.61 eV/cell. The calculation puts the total energy at -5.72 eV/atom. As for the formation energy: -1.731 eV per atom. Its energy above the most stable polymorph in this dataset is 0.133 eV/atom.


This record from the Materials Project database describes an optimized crystal structure of SrCa7Mn7CrO22. The functional is PBE+U.

CIF file:
```
data_SrCa7Mn7CrO22
_chemical_formula_sum 'Sr1 Ca7 Mn7 Cr1 O22'
_symmetry_space_group_name_H-M 'P 1'
_symmetry_Int_Tables_number 1
_cell_length_a 7.7189
_cell_length_b 7.7189
_cell_length_c 7.6654
_cell_angle_alpha 90.11
_cell_angle_beta 90.11
_cell_angle_gamma 90.71
loop_
_symmetry_equiv_pos_as_xyz
'x,y,z'
loop_
_atom_site_label
_atom_site_fract_x
_atom_site_fract_y
_atom_site_fract_z
Sr1 0.0000 0.0000 0.0000
Ca1 0.9996 0.4989 0.9890
Ca2 0.0011 0.0011 0.4901
Ca3 0.4967 0.9985 0.4979
Ca4 0.4976 0.4976 0.9796
Ca5 0.4989 0.9996 0.9890
Ca6 0.4992 0.4992 0.5270
Ca7 0.9985 0.4967 0.4979
Mn1 0.2501 0.2501 0.7223
Mn2 0.2498 0.7478 0.7346
Mn3 0.2545 0.7431 0.2264
Mn4 0.2556 0.2556 0.2441
Mn5 0.7431 0.2545 0.2264
Mn6 0.7478 0.2498 0.7346
Mn7 0.7493 0.7493 0.7236
Cr1 0.7406 0.7406 0.2422
O1 0.0010 0.2498 0.7033
O2 0.0033 0.2532 0.2473
O3 0.2193 0.7792 0.9783
O4 0.2461 0.4938 0.7754
O5 0.2472 0.4917 0.1734
O6 0.2498 0.0010 0.7033
O7 0.2532 0.0033 0.2473
O8 0.2827 0.7142 0.4786
O9 0.2879 0.2879 0.4803
O10 0.4917 0.2472 0.1734
O11 0.4938 0.2461 0.7754
O12 0.5040 0.7520 0.7737
O13 0.5094 0.7495 0.1714
O14 0.7078 0.7078 0.4727
O15 0.7142 0.2827 0.4786
O16 0.7445 0.9879 0.2374
O17 0.7482 0.9981 0.6980
O18 0.7495 0.5094 0.1714
O19 0.7520 0.5040 0.7737
O20 0.7792 0.2193 0.9783
O21 0.9879 0.7445 0.2374
O22 0.9981 0.7482 0.6980
```

Output
The size of the total moment comes out at 0.71 μB/atom. Its energy with MP2020 corrections is -293.01 eV/cell. The calculation puts the total energy at -6.95 eV/atom. As for the formation energy: -2.491 eV per atom. Its energy above the most stable polymorph in this dataset is 0.030 eV/atom.


This record from the Materials Project database describes an optimized crystal structure of V4HgO10. The functional is PBE+U.

CIF file:
```
data_V4HgO10
_chemical_formula_sum 'V8 Hg2 O20'
_symmetry_space_group_name_H-M 'P 1'
_symmetry_Int_Tables_number 1
_cell_length_a 11.6344
_cell_length_b 11.6344
_cell_length_c 9.8204
_cell_angle_alpha 92.23
_cell_angle_beta 92.23
_cell_angle_gamma 18.21
loop_
_symmetry_equiv_pos_as_xyz
'x,y,z'
loop_
_atom_site_label
_atom_site_fract_x
_atom_site_fract_y
_atom_site_fract_z
V1 0.1053 0.1053 0.4417
V2 0.2419 0.2419 0.2666
V3 0.3119 0.3119 0.9657
'''
-- Worked solution --
This record from the Materials Project database describes an optimized crystal structure of Li9Mn2Co5O16. The functional is PBE+U.

CIF file:
```
data_Li9Mn2Co5O16
_chemical_formula_sum 'Li9 Mn2 Co5 O16'
_symmetry_space_group_name_H-M 'P 1'
_symmetry_Int_Tables_number 1
_cell_length_a 2.9617
_cell_length_b 2.9617
_cell_length_c 38.8418
_cell_angle_alpha 91.27
_cell_angle_beta 91.27
_cell_angle_gamma 58.36
loop_
_symmetry_equiv_pos_as_xyz
'x,y,z'
loop_
_atom_site_label
_atom_site_fract_x
_atom_site_fract_y
_atom_site_fract_z
Li1 0.0000 0.0000 0.0000
Li2 0.0638 0.0638 0.1890
Li3 0.1875 0.1875 0.5624
Li4 0.3195 0.3195 0.9419
Li5 0.4384 0.4384 0.3132
Li6 0.5616 0.5616 0.6868
Li7 0.6805 0.6805 0.0581
Li8 0.8125 0.8125 0.4376
Li9 0.9362 0.9362 0.8110
Mn1 0.3730 0.3730 0.1252
Mn2 0.6270 0.6270 0.8748
Co1 0.1257 0.1257 0.3750
Co2 0.2501 0.2501 0.7498
Co3 0.5000 0.5000 0.5000
Co4 0.7499 0.7499 0.2502
Co5 0.8743 0.8743 0.6250
O1 0.0136 0.0136 0.0977
O2 0.0957 0.0957 0.2782
O3 0.1585 0.1585 0.4709
O4 0.2171 0.2171 0.6544
O5 0.2638 0.2638 0.8453
O6 0.3438 0.3438 0.0320
O7 0.4046 0.4046 0.2214
O8 0.4676 0.4676 0.4035
O9 0.5324 0.5324 0.5965
O10 0.5954 0.5954 0.7786
O11 0.6562 0.6562 0.9680
O12 0.7362 0.7362 0.1547
O13 0.7829 0.7829 0.3456
O14 0.8415 0.8415 0.5291
O15 0.9043 0.9043 0.7218
O16 0.9864 0.9864 0.9023
```

Output
The size of the total moment comes out at 0.48 μB/atom. Its energy with MP2020 corrections is -205.61 eV/cell. The calculation puts the total energy at -5.72 eV/atom. As for the formation energy: -1.731 eV per atom. Its energy above the most stable polymorph in this dataset is 0.133 eV/atom.


This record from the Materials Project database describes an optimized crystal structure of SrCa7Mn7CrO22. The functional is PBE+U.

CIF file:
```
data_SrCa7Mn7CrO22
_chemical_formula_sum 'Sr1 Ca7 Mn7 Cr1 O22'
_symmetry_space_group_name_H-M 'P 1'
_symmetry_Int_Tables_number 1
_cell_length_a 7.7189
_cell_length_b 7.7189
_cell_length_c 7.6654
_cell_angle_alpha 90.11
_cell_angle_beta 90.11
_cell_angle_gamma 90.71
loop_
_symmetry_equiv_pos_as_xyz
'x,y,z'
loop_
_atom_site_label
_atom_site_fract_x
_atom_site_fract_y
_atom_site_fract_z
Sr1 0.0000 0.0000 0.0000
Ca1 0.9996 0.4989 0.9890
Ca2 0.0011 0.0011 0.4901
Ca3 0.4967 0.9985 0.4979
Ca4 0.4976 0.4976 0.9796
Ca5 0.4989 0.9996 0.9890
Ca6 0.4992 0.4992 0.5270
Ca7 0.9985 0.4967 0.4979
Mn1 0.2501 0.2501 0.7223
Mn2 0.2498 0.7478 0.7346
Mn3 0.2545 0.7431 0.2264
Mn4 0.2556 0.2556 0.2441
Mn5 0.7431 0.2545 0.2264
Mn6 0.7478 0.2498 0.7346
Mn7 0.7493 0.7493 0.7236
Cr1 0.7406 0.7406 0.2422
O1 0.0010 0.2498 0.7033
O2 0.0033 0.2532 0.2473
O3 0.2193 0.7792 0.9783
O4 0.2461 0.4938 0.7754
O5 0.2472 0.4917 0.1734
O6 0.2498 0.0010 0.7033
O7 0.2532 0.0033 0.2473
O8 0.2827 0.7142 0.4786
O9 0.2879 0.2879 0.4803
O10 0.4917 0.2472 0.1734
O11 0.4938 0.2461 0.7754
O12 0.5040 0.7520 0.7737
O13 0.5094 0.7495 0.1714
O14 0.7078 0.7078 0.4727
O15 0.7142 0.2827 0.4786
O16 0.7445 0.9879 0.2374
O17 0.7482 0.9981 0.6980
O18 0.7495 0.5094 0.1714
O19 0.7520 0.5040 0.7737
O20 0.7792 0.2193 0.9783
O21 0.9879 0.7445 0.2374
O22 0.9981 0.7482 0.6980
```

Output
The size of the total moment comes out at 0.71 μB/atom. Its energy with MP2020 corrections is -293.01 eV/cell. The calculation puts the total energy at -6.95 eV/atom. As for the formation energy: -2.491 eV per atom. Its energy above the most stable polymorph in this dataset is 0.030 eV/atom.


This record from the Materials Project database describes an optimized crystal structure of V4HgO10. The functional is PBE+U.

CIF file:
```
data_V4HgO10
_chemical_formula_sum 'V8 Hg2 O20'
_symmetry_space_group_name_H-M 'P 1'
_symmetry_Int_Tables_number 1
_cell_length_a 11.6344
_cell_length_b 11.6344
_cell_length_c 9.8204
_cell_angle_alpha 92.23
_cell_angle_beta 92.23
_cell_angle_gamma 18.21
loop_
_symmetry_equiv_pos_as_xyz
'x,y,z'
loop_
_atom_site_label
_atom_site_fract_x
_atom_site_fract_y
_atom_site_fract_z
V1 0.1053 0.1053 0.4417
V2 0.2419 0.2419 0.2666
V3 0.3119 0.3119 0.9657